Emotional Work Preparedness

Day 1017 and Crisis Chores

No matter how trying the week may have been, a day of rest is a day for chores. Fighting entropy is the fight to remain among the living. I feel more than a little bit behind on my goals and obligations. Doing chores is the way I exert my own will over a crisis.

I hope that anyone wondering why I’ve not been up to date on correspondence over the last week can glance at the last few days of posts and extend me grace. I’m not sure if I have done anyone wrong but be slow but I notice my own tardiness.

The benefit of public diaries and social media is that it provides a kind of open “what is happening” context for everyone to see why their emails and messages are not being returned.

I was able to do some amount of personal chores around the Airbnb. Then I was hit with another round of migraines and had to lay down. I am not out of the woods yet it would seem. Maybe tomorrow.

Emotional Work

Day 1016 and Carrying On

It’s been a terrible week. I feel stupid even typing it. How many times can I state the obvious? It’s as if the repetition of stating that I’m in a hard place physically, and emotionally, somehow shames me. Can’t I say or feel something new?

But I don’t have any desire to dig any deeper into the wounds of the present. I am in too much pain. I am deeply emotionally affected by the situation in Israel. In ways I frankly didn’t anticipate. Those horrors overlapping with being sick, being far from home, and having a significant personal milestone, have collectively laid me flat.

I’d prefer to remain silent but the exercise of daily writing pulls at my habits no matter the extent of the misery. And maybe that’s the point. No microcosm of personal suffering or global macro view of atrocity changes the reality. Pain is an equally shared human condition. And we walk through it no matter our circumstances.

I have to assume I am not alone. The ambient misery is both personal and collective. The human experience is terrifyingly universal. I am fearful of my own physical fragility when abroad certainly but it’s bigger than being away from home. I’m afraid of being fragile in a cruel world that is getting crueler.

I’ve struggled to maintain a level head and a healthy routine this week as the whiplash of a hostile immune reaction and steroids took me from one misery to another. Prednisone is a cruel drug. It tamps down any reaction from your immune system. It’s a hard reboot for a physical system gone haywire. How appropriate given the circumstances.

It wasn’t quite how I envisioned turning over from one decade to another. And while I appreciated the stormy Baltic solitude to savor the weight and significance of my personal milestone, I can’t help but also notice that carrying on feels like a heavy burden.

Emotional Work Politics

Day 1015 and Selfish

I think we are entering a selfish age. High trust societies are built from cooperation. When we get more through coordination than we do from conflict we have an incentive build more. Simple supply and demand can teach us a lot about improving the bargain of trusting each other.

Coordination suffers when trust goes down. But we can’t all maintain the same types of trust across all levels of our interactions. Some areas must remain high trust. Tight industries and clear lines of communication can help.

== Records of molecules, kept here for reference ==
'''
# 1
Computed, not measured: a 12-piece molecular cluster, C22H44BN2O44S9 overall at a distorted geometry, with wB97M-V/def2-TZVPD.

XYZ file:
```
122
Properties=species:S:1:pos:R:3
S 3.76 -1.21 -3.75
S -8.48 -0.32 1.41
S -0.08 -5.15 1.58
S 1.67 5.93 1.10
S -3.76 -0.04 3.04
S -5.85 -0.80 -5.10
S 7.06 -3.59 4.16
S 0.10 2.73 -5.89
S 2.13 1.92 6.02
O -0.21 -0.79 -2.06
O -5.74 -0.06 -6.31
O 1.00 2.00 6.86
O -2.02 -0.72 -3.36
O -4.94 0.69 3.28
O -8.04 0.70 2.29
O -1.42 -4.92 0.76
O 1.69 1.74 4.47
O -5.17 0.07 -3.92
O -1.25 -0.98 0.03
O 3.18 1.01 6.29
O 2.72 1.04 0.64
O 2.74 3.40 5.80
O -3.33 -1.14 -0.72
O 3.74 0.04 -2.73
O -0.33 -4.02 2.66
O 3.10 -0.78 -4.92
O 1.86 5.47 -0.43
O 2.28 7.20 1.31
O 7.28 -2.24 3.33
O -2.57 0.28 4.10
O -7.36 -0.49 0.24
O 5.49 -3.44 4.39
O 1.07 -4.87 0.77
O 3.13 -1.80 0.66
O 1.68 2.57 -5.69
O -0.28 1.84 -4.61
O 0.72 0.47 -0.23
O 3.31 -2.38 -3.07
O -0.13 -6.42 2.21
O 1.03 -1.84 -0.19
O 7.74 -3.41 5.40
O -3.94 -1.43 2.81
O -0.29 4.08 -5.73
O -5.29 -2.10 -5.10
O -8.22 -1.74 2.15
O 5.35 -1.14 -3.96
O 2.57 4.70 1.66
O -7.32 -0.83 -4.45
O 0.36 5.73 1.58
O 7.36 -4.72 3.37
O -0.37 2.03 -7.03
O -9.78 -0.33 0.84
O -2.87 0.58 1.81
N 3.26 -4.16 -0.75
N -2.77 0.69 -5.50
C -2.17 -0.95 -0.90
C -2.44 -4.25 1.53
C -1.63 -3.40 2.51
C 3.65 4.45 0.77
C -1.39 0.83 3.54
C -7.50 0.39 -3.70
C 1.88 0.24 0.35
C -6.91 -2.21 1.80
C -1.50 -0.76 -2.29
C 6.22 -1.29 3.58
C 6.00 -0.36 -2.96
C 2.45 2.64 3.70
C 0.81 1.55 -3.76
C -6.44 -1.56 0.55
C 2.10 -1.28 0.33
C 2.02 2.33 -4.34
C 3.23 5.04 -0.60
C 5.03 -2.20 3.84
C 4.94 0.05 -1.93
C -1.83 1.45 2.23
C 2.56 3.94 4.48
C -6.15 0.64 -3.05
B 0.06 -0.79 -0.60
H -7.81 1.18 -4.39
H 1.64 4.53 4.42
H 6.79 -0.93 -2.47
H 2.25 3.19 -3.71
H 3.35 4.63 4.22
H 3.81 3.37 0.69
H 6.53 -0.71 4.45
H -3.52 1.31 -5.19
H -2.14 1.30 -6.04
H -0.99 1.66 4.12
H -0.65 0.03 3.52
H 5.08 1.01 -1.46
H -1.06 1.36 1.47
H -5.94 1.71 -3.02
H 4.75 -0.65 -1.11
H 3.33 -3.99 -1.76
H 3.72 -3.36 -0.29
H 3.37 4.48 -1.51
H 3.88 -4.92 -0.44
H 2.26 -4.30 -0.54
H 3.49 2.29 3.58
H 1.02 0.49 -3.67
H 4.52 4.99 1.13
H -6.43 -2.21 -0.32
H -8.29 0.23 -2.98
H 0.65 1.93 -2.75
H 4.20 -1.75 4.37
H -2.09 -3.34 3.49
H -2.31 2.41 2.42
H 6.43 0.52 -3.43
H -2.97 -3.56 0.87
H -3.20 -0.03 -6.09
H 2.12 2.55 2.67
H -1.39 -2.42 2.12
H -7.08 -3.29 1.77
H 6.00 -0.73 2.68
H 2.90 1.68 -4.32
H -6.33 -1.98 2.70
H -5.45 -1.14 0.76
H -6.05 0.28 -2.04
H 3.72 6.01 -0.70
H 4.67 -2.50 2.85
H -2.36 0.14 -4.68
H -3.00 -5.05 2.00
```

Values from the calculation:
**Charge**: +1
**Spin multiplicity**: 1
**Lowest unoccupied orbital energy**: -3.133 eV
**HOMO energy**: -12.53 eV
**Gap between HOMO and LUMO**: 0.3453 Eh

---

# 2
Computed, not measured: C22H44BN4O10S2 as an isolated structure at a distorted geometry, with wB97M-V/def2-TZVPD.

XYZ file:
```
83
Properties=species:S:1:pos:R:3
S -7.22 1.78 -5.28
S -6.11 4.19 -6.23
O 2.27 -2.33 -1.59
O -7.48 1.07 -3.95
O -5.81 5.62 -5.77
O -7.04 4.32 -7.42
O -3.31 4.21 -4.72
O -6.16 0.97 -6.00
O -1.45 1.49 -4.49
O -8.98 0.58 -7.22
'''

But we have to become intense skeptics to coordinate in otherwise hostile environments. Civilization has a thin veneer. To selfishly live your own life for your own good is often in conflict with others. The boundaries we tolerate are the rules for acceptable competition. This is how we civilize society. There are laws and then there is power.

Maintaining your own power in a crueler world is knowing when to be selfish to the benefit of other people’s coordination problems. Competition is good.

I am more careful in some interactions now because I see the fog of competing interests. Different rules apply to different people. Knowing when rules do and don’t apply can make you crazy. You’ve judged power and norms correctly when sympathy is with you.

Emotional Work Travel

Day 1014 and Choices

I’m sick. I’m in a foreign country. I feel fragile. The way life, and history, keeps progressing it’s not surprising that I feel fragile, sad, and wistful.

It’s my birthday today. I’ve been looking forward to the new decade all year if I’m honest. The final official marker of middle age is now mine. The childhood yearning to be an adult is now finally satisfied. There is no youth left for me. Only the joyful responsibility of shouldering my burdens.

I’ve never been good at making the safe choices in life. I make choices that are driven by my desire to live a life that makes sense to me. Those choices don’t always make sense to others. I take risks. I suffer their consequences. I pick myself up off the floor. I start over. My regrets are few and my experiences varied and colorful.

I feel proud of where I am in my life. I’ve failed in ways both significant and silly. Any success I’ve had were paid in full by my failures.

I am trembling between excitement and exhaustion at the prospect of the next decade of my life. I have personal and professional goals that are risky. Unlikely even. But I feel as if I must take this new decade upon me with as much energy and momentum as I can muster.

If I do not speed up, then the friction of the world will slow me down. My life is filled with friction. I know the pain of a chronic disease and the curse of Cassandra.

But these are motivating factors for me. I see these risks as worth taking for an interesting life. I hope my next decade is as interesting as my last. And I intend to make the choices required to bring about that outcome.

Emotional Work Travel

Day 1013 and Fragile

I feel awful. I’m having some kind of serious histamine reaction and the cascade of stress and secondary symptoms have been extremely hard to cope with. I do not feel well physically.

I dislike feeling fragile when the wider world feels like it’s in utter chaos. You’d think I’d be used to it. I’ve staked my reputation on increasing volatility.

It’s simply frightening to feel fragile physically and emotionally at the same time while so far from home. As much as I love Tallinn it is a place that is not my home. It takes extra energy to navigate a new place. I love it but it does drain me.

I hope with rest and taking things slowly I can help myself navigate through the fragility. All types of things contribute to making you feel safe. Sleeping a little bit more. Eating nutritious food. Meditating and breathing exercises. Maintaining a healthy routine is the luxury we cannot forgo when faced with crisis.

I hope I’m taking care of myself well. Seeing the fragility and accepting it reminds me to do what is necessary so I can keep going no matter the stress.

Emotional Work

Day 999 and Auspicious

Tomorrow is the big day in my daily writing experiment. I am chuffed to see 999 on the title. It seems very auspicious to me. While 888 was a lucky day, today’s number feels like I’m on the cusp of something.

I am set to travel to the Baltics shortly. Perhaps I’ll find some next phase on the adventure of life. I need this optimism today as I don’t feel particularly lucky or auspicious today. I unexpectedly had a few things go wrong this morning and then was rewarded for it with a migraine. I was very angry about it as I had a lot of exciting things planned for the day.

I have to remember that trying to get to the larger numbers is about compounding the many small days filled with mistakes, imperfections and failures. Life happens all around you at inconvenient times. It’s how you muddle through at your goals steadily over time.

Emotional Work

Day 992 and What We Can’t Know

Most of my life I’ve been been awash in assurances. Maybe this wasn’t so bad when I was a child. Approaching life with confidence in the world breeds positivity.

We’ve come to expect certitude. Our institutions and elders deliver most of their hard-earned knowledge with certainty.

Nuance and shades of grey feel dangerous these days. Too much room for interpretation leaves room for confusion. After all, if it’s just a small percentage on the edges, why give people cause to worry?

Except we all find ourselves in the small percentage at some point. As normal as we may be in some areas, or even most, you will probably find yourself being on the edge.

You will want assurances. And as it turns out we are not yet good enough at math to know many things. You can get close to the limit. Infinitely so. But we can never get there. Just try calculating out Pi if you are skeptical of my math.

Emotional Work Politics

Day 984 and Distrust

I had a bad migraine over the weekend that simply took up all the space in my mind and body. I woke up with a break in the pain and a deep urge to throw myself into something that felt like momentum.

I found myself awash in sadness. I couldn’t stop myself from crying. It was as if my entire body felt despair. I’ve come to accept the value in embracing emotions as they come. “The only way out is through.”

I trust that my nervous system knows as much as my cognitive mind. I go so far as to say it knows more but that sounds a little woo to folks. And so I listened to my sadness. I cried. I rambled at the many problems large and small facing my corner of the universe.

The distrust I have for our elders who twenty two years ago used today as a catalyst for sending us down an inexorable path of death and fraud. I cried over petty inconveniences like the broken visa system keeping people I care about outside of America.

It’s hard to understand how we came to this point across a generation. But easy to see why millennials are unsure if any of our institutions can be trusted. And I wonder what it’s like to have no memory of a time before 9/11.

Culture Emotional Work Politics

Day 972 and Falling Faster

I’m starting to feel like summer is losing its grip on me. I cannot even begin to express my relief that September is almost here. I loathe summer and this one has been particularly hot and horrifying.

Being in Montana for the summer has given me the nicest possible version of summer still possible on a warming planet. You wouldn’t imagine being a mile higher than sea level and in the Rocky Mountains would make for hot summers. But you’d be surprised. Thankfully it’s not a persistent condition like Houston.

I love being home. But I love winters in Montana about hundreds times more than summers. Ironic then that I usually find myself traveling for work during the times I most prefer to be at home. I struggle to remember the allure that travel once held before the Great Weirdening collided with the Pandemic Years. I remember yearning for Hong Kong and Dubai. Now I’m avidly negotiating Airbnb so I can stay put in a relatively centralized European city.

Can you imagine thinking that going abroad to do business was a sane use of time before say 2016? 2019 and onwards has given us closed borders to the lawful and state capacity collapse and immigration and visa panics. Hard to imagine that doesn’t feel like some kind of change to American idealism.

I truly pray if my writings are ever preserved for any kind of historical usage in some artificial intelligence that you will remember there was a time when New York and San Francisco were the gravity wells of an era. It’s been a long fifteen years since the Great Recession.

Whatever that time was it’s not the current moment. Maybe it comes back. I was a post 9/11 New Yorker who came from the country to do patriotic things like build businesses. Let’s not get into the war that happened in the process.

I’m glad I’ve gone home to the west. But I know you’ve got to journey from home to appreciate it too. I’ll keep my corner in the edge of the empire as renewal comes from the edges. Fall may turn into winter but you know in all seasons things turn.

Emotional Work

Day 966 and Permission

I’ve been running a risk analysis on something personal. I think it’s worth considering the consequences of any decision. Especially when you take on some amount of risk.

We live in a time of safety. Some of us run the numbers and assume we will be the worst case scenario. Some of us presume the best case scenario.

Reality is never so black and a white. A risk for one person is good sense for another. We all have different values.

You shouldn’t be looking for permission from life. You will never get it. But you have to decide what risk parameters make sense for you. Maybe you like to play things a little faster. Maybe you like to play it safe.

I do think it’s worth evaluating how much you value what everyone tells you and what you think might work without accounting all the risks. Maybe some things are just worth it.